ANA     Diagnostic Criteria     Renal Involvement     Drug Induced

Systemic lupus erythematosus is an autoimmune disease that occurs secondary to the production of autoantibodies to cellular nuclear components. This disease may present with a variety of different symptoms. SLE occurs mostly in young female patients, with a peak incidence between the ages of 15 and 40. African Americans and Hispanics are affected more frequently than Caucasians. The prevalence of this disease is approximately 1 in 2,000 individuals in the general population. There is a strong familial association with a very high frequency of disease occurrence in first-degree relatives of affected individuals. Drug-induced lupus is caused by a variety of drugs to include hydralazine, procainamide hydrochloride, isoniazid, thorazine, and methyldopa. Drug-induced lupus often resolves after discontinuation of the offending agent.

Symptoms include the following:

CUTANEOUS: Includes malar or discoid rashes, photosensitivity, painless oral ulcers, or alopecia. Microscopic examination of skin lesions reveals inflammation and degeneration at the dermal-epidermal junction. The basal or germinal layers are usually the primary site of injury.

RENAL: Involvement is frequent and is often discovered by demonstrating proteinuria of 500 mg/day (3+ on urine dipstick), the presence of urinary casts, hematuria, pyuria, or a rise in the serum creatinine. Renal biopsy is required for proper staging.

SEROSITIS: Commonly manifests as small exudative pleural effusions with normal glucose levels and the presence of LE cells. Pericarditis or posterior pericardial effusions are found less frequently.

GASTROINTESTINAL: manifests as nonspecific complaints such as diffuse abdominal pain, anorexia, nausea, or vomiting. Hepatomegaly is common but clinical liver disease is not. Transaminasitis may be seen during active disease but usually resolves with adequate treatment of the lupus flare.

=====
# 1
This record from the OMol25 dataset describes a cluster of 2 separate species, C5H14N2O in total. The level of theory is ωB97M-V with the def2-TZVPD basis set.

The total energy comes out at -10437.3458 eV. The calculation puts the HOMO-LUMO gap at 8.45 eV. The value obtained for the energy above the lowest of the compared OMol25 structures with the same formula, charge and spin is 84.9 kcal per mole.

```
! RIJCOSX wB97M-V def2-TZVPD def2/J DEFGRID3
* xyz 0 1
C 0.93 1.62 0.06
C 0.07 0.66 -0.66
C 0.56 -0.17 -1.63
N 1.77 0.24 -2.27
C -1.33 0.58 -0.25
C -1.32 0.05 1.22
N -2.56 -0.73 1.71
H 1.13 2.49 -0.60
H 2.03 1.42 -0.02
H 0.62 1.95 1.13
H 0.03 -1.02 -1.99
H 2.18 -0.31 -2.89
H 2.03 1.11 -2.35
H -1.85 -0.11 -0.94
H -1.88 1.52 -0.18
H -0.52 -0.58 1.39
H -1.28 0.93 1.74
H -3.00 0.00 2.37
H -3.24 -0.81 0.90
O 1.48 -1.96 1.37
H 1.73 -1.26 0.78
H 2.18 -2.58 1.17
*
```

***

# 2
This record from the OMol25 dataset describes the molecule C6H13NO2. The level of theory is ωB97M-V with the def2-TZVPD basis set.

The total energy comes out at -12017.5648 eV. The calculation puts the HOMO-LUMO gap at 10.42 eV. The value obtained for the energy above the lowest of the compared OMol25 structures with the same formula, charge and spin is 26.8 kcal per mole.

```
! RIJCOSX wB97M-V def2-TZVPD def2/J DEFGRID3
* xyz 0 1
C 1.82 -1.43 -0.33
C 1.98 -0.10 0.40
C 2.25 0.99 -0.58
C 0.61 0.19 1.08
C -0.42 0.54 -0.07
N -1.08 1.82 -0.06
C -1.51 -0.56 -0.03
O -1.20 -1.70 0.01
O -2.77 -0.17 -0.24
H 1.49 -2.22 0.36
H 2.66 -1.75 -0.93
H 0.96 -1.21 -1.00
H 2.70 -0.24 1.25
H 3.26 0.72 -1.07
H 1.50 0.95 -1.29
H 2.25 1.99 -0.14
H 0.17 -0.59 1.75
H 0.76 1.14 1.62
H -0.04 0.23 -1.05
H -0.52 2.64 -0.37
H -1.47 2.08 0.85
H -2.77 0.75 -0.55
*
```

***

# 3
This record from the OMol25 dataset describes a structure of composition C5H8N. The level of theory is ωB97M-V with the def2-TZVPD basis set.

The total energy comes out at -6790.8108 eV. The calculation puts the HOMO-LUMO gap (alpha / beta) at 8.71 / 7.62 eV. The value obtained for the energy above the lowest of the compared OMol25 structures with the same formula, charge and spin is 167.8 kcal per mole.

```
! RIJCOSX wB97M-V def2-TZVPD def2/J DEFGRID3
* xyz 1 1
C 0.03 0.71 -0.12
C -0.66 -0.47 0.01
C 2.23 -1.12 0.10
C 0.19 2.13 0.18
C -1.92 -1.26 0.06
N 0.61 -0.43 -0.59
H 2.14 -2.18 0.05
H 3.02 -0.57 -0.54
H 0.55 2.64 -0.70
H 1.12 2.04 0.82
H -0.64 2.69 0.63
H -2.61 -0.52 -0.18
H -2.07 -1.71 0.95
H -1.97 -1.96 -0.67
*
```

***

# 4
This record from the OMol25 dataset describes a structure of composition NO4PS. The level of theory is ωB97M-V with the def2-TZVPD basis set.

The total energy comes out at -29804.7024 eV. The calculation puts the HOMO-LUMO gap at 6.77 eV. The value obtained for the energy above the lowest of the compared OMol25 structures with the same formula, charge and spin is 17.8 kcal per mole.

```
! RIJCOSX wB97M-V def2-TZVPD def2/J DEFGRID3
* xyz -2 1
N 2.84 -0.10 0.56
O -1.95 -1.29 0.17
O -1.60 0.52 -1.56
=====

NEUROPSYCHIATRIC: Symptoms often include intractable headaches unresponsive to narcotics. Seizure activity is common and may be either focal or generalized. Chorea is an early manifestation of SLE. Cerebrovascular accidents and subarachnoid hemorrhages are troublesome complications. Frank psychosis is often a manifestation of SLE and may be exacerbated by the use of steroids. If confusion exists as to whether the psychosis is steroid-induced, it is then prudent to stop steroid treatment. If the psychosis gets worse, it is secondary to the SLE; however, if it resolves, then it was steroid-induced. Cerebritis, neuropathy, and an acute ascending motor paralysis may all be complications of SLE.

PULMONARY: Common manifestations include pleuritis (resolves with NSAIDs or steroid therapy), pleural effusions (usually small exudative effusions with a normal glucose and LE cells), pulmonary emboli, pulmonary hemorrhage (often fatal), shrunken lung (secondary to diaphragmatic dysfunction), pulmonary hypertension, interstitial lung disease (characterized by a restrictive pattern with a decreased DLCO), and pneumonitis (characterized by ill-defined migratory infiltrates on chest radiograph).

MUSCULOSKELETAL: Arthritis and arthralgia are common manifestations. The arthritis is usually episodic, symmetric, and involving the small joints of the hands, wrist, and knees. Jacouds arthritis refers to a nonerosive but deforming arthritis with ulnar deviation, swan neck deformities, and subluxations. Avascular necrosis, usually of the femoral head, may occur secondary to SLE or steroid therapy.

CARDIAC: Complications may manifest as pericarditis, myocarditis, endocarditis, or coronary artery disease. Arrhythmias, conduction defects, and unexplained cardiomegaly or tachycardia should alert physicians to the possibility of underlying myocarditis. Libman-Sacks endocarditis refers to sterile verrucous vegetations on the mitral valve; however, they have become less common since steroid therapy has been used.

RETICULOENDOTHELIAL: Splenomegaly and lymphadenopathy are common manifestations. Lymph node biopsy reveals reactive hyperplasia.

SYSTEMIC: Fever, fatigue, and weight loss are common manifestations.

Laboratory abnormalities associated with SLE are numerous. The complete blood count may reveal leukopenia (particularly lymphopenia), normocytic anemia (may be secondary to chronic disease, renal insufficiency, or medications), hemolytic anemia (usually Coombs positive but may be negative), or thrombocytopenia. A normal PT with a prolonged aPTT or false-positive VDRL are indicative of possible underlying anticardiolipin antibodies or lupus anticoagulant. The complement levels either C3, C4, or CH50 are usually depressed. Complement levels are often studied chronically to detect lupus flares.

Tests more specific for the diagnosis of SLE include ANA (antinuclear antibodies), dsDNA (a positive test may indicate patients with a propensity toward aggressive lupus nephritis), and various antibodies against antigen complexes (Sm, RNP, SS-A, and SS-B). When interpreting the ANA test results, it is important to remember that the higher the titer, the more likely an autoimmune disease exists, that an elevated titer does not always mean the patient has lupus (false-positive elevations are seen in the elderly and female patients), and that certain conditions (pregnancy, psoriasis, malignant melanoma, ovarian carcinoma, prostatic cancer, sarcomas, leukemia, Hodgkins disease, Burkitts lymphoma, malaria, idiopathic pulmonary fibrosis, primary biliary cirrhosis, chronic active hepatitis, alcoholic liver disease, and end-stage renal disease patients on hemodialysis) are associated with an elevated ANA. The serum ANA will positive in 95% of cases of SLE; therefore, a negative test argues strongly against this diagnosis. Other tests more specific for the diagnosis of SLE (anti-Sm, anti-RNP, and anti-SS-B) should not be ordered in the face of a negative ANA. However, ANA-negative SLE does occur, and when SLE is still suspected in the face of a negative ANA titer, a decreased CH50 or a positive anti-Ro (SS-A) antibody will help confirm the diagnosis. Although these tests are quite helpful in establishing the diagnosis, systemic lupus erythematosus is a clinical diagnosis made when 4 of the 11 criteria established by the American College of Rheumatology are present. Antihistone antibody is indicative of drug-induced lupus (positive in over 90% of cases); however, this test may also be positive in patients with idiopathic SLE. Other indicators of drug-induced lupus, as opposed to SLE, include the following: antibodies to single-stranded DNA and normal complement levels

Current medications available for the treatment of SLE include NSAIDs, steroids, plaquenil, and belimumab. Treatment should be tailored to the individual patient, and in most cases it is prudent to obtain consultation from a specialist on rheumatic or renal diseases.